[Assignment]
The reader should echo everything underneath with every line break kept.

[Data]
# 1
# Li3DyCd3, optimized geometry, DFT GGA-PBE
data_Li3DyCd3
_chemical_formula_sum 'Li6 Dy2 Cd6'
_cell_length_a 6.9545
_cell_length_b 6.9545
_cell_length_c 6.9545
_cell_angle_alpha 90.00
_cell_angle_beta 90.00
_cell_angle_gamma 90.00
_space_group_name_H-M_alt 'P m -3 n'
_space_group_IT_number 223
_space_group_name_Hall '-P 4n 2 3'
loop_
_atom_site_label
_atom_site_type_symbol
_atom_site_fract_x
_atom_site_fract_y
_atom_site_fract_z
_atom_site_occupancy
Li1 Li 0.0000 0.2500 0.5000 1
Dy1 Dy 0.0000 0.0000 0.0000 1
Cd1 Cd 0.0000 0.5000 0.2500 1
# Magnetic moment = 0.00 Bohr magnetons per cell
# Total energy = -1.64 eV per atom


# 2
# LiDy2Cd5, optimized geometry, DFT GGA-PBE
data_LiDy2Cd5
_chemical_formula_sum 'Li2 Dy4 Cd10'
_cell_length_a 4.8868
_cell_length_b 4.8868
_cell_length_c 15.5244
_cell_angle_alpha 90.00
_cell_angle_beta 90.00
_cell_angle_gamma 90.00
_space_group_name_H-M_alt 'I 4/m m m'
_space_group_IT_number 139
_space_group_name_Hall '-I 4 2'
loop_
_atom_site_label
_atom_site_type_symbol
_atom_site_fract_x
_atom_site_fract_y
_atom_site_fract_z
_atom_site_occupancy
Li1 Li 0.0000 0.0000 0.0000 1
Dy1 Dy 0.0000 0.0000 0.2561 1
Cd1 Cd 0.0000 0.0000 0.5000 1
Cd2 Cd 0.0000 0.5000 0.1128 1
# Magnetic moment = 0.67 Bohr magnetons per cell
# Total energy = -2.21 eV per atom


# 3
# LiDyCd4, optimized geometry, DFT GGA-PBE
data_LiDyCd4
_chemical_formula_sum 'Li2 Dy2 Cd8'
_cell_length_a 9.9030
_cell_length_b 3.9439
_cell_length_c 7.3812
_cell_angle_alpha 90.00
_cell_angle_beta 109.51
_cell_angle_gamma 90.00
_space_group_name_H-M_alt 'C 1 2/m 1'
_space_group_IT_number 12
loop_
_space_group_symop_operation_xyz
'x,y,z'
'-x,-y,-z'
'-x,y,-z'
'x,-y,z'
'x+1/2,y+1/2,z'
'-x+1/2,-y+1/2,-z'
'-x+1/2,y+1/2,-z'
'x+1/2,-y+1/2,z'
loop_
_atom_site_label
_atom_site_type_symbol
_atom_site_fract_x
_atom_site_fract_y
_atom_site_fract_z
_atom_site_occupancy
Li1 Li 0.0000 0.0000 0.0000 1
Dy1 Dy 0.0000 0.0000 0.5000 1
Cd1 Cd 0.1617 0.5000 0.2992 1
Cd2 Cd 0.1658 0.5000 0.8514 1
# Magnetic moment = 0.00 Bohr magnetons per cell
# ΔE to the lowest computed polymorph = 29 meV per atom


# 4
# LiDy4Cd5, optimized geometry, DFT GGA-PBE
data_LiDy4Cd5
_chemical_formula_sum 'Li1 Dy4 Cd5'
_cell_length_a 3.6660
_cell_length_b 3.6660
_cell_length_c 18.5676
_cell_angle_alpha 90.00
_cell_angle_beta 90.00
_cell_angle_gamma 90.00
_space_group_name_H-M_alt 'P 4/m m m'
_space_group_IT_number 123
_space_group_name_Hall '-P 4 2'
loop_
_atom_site_label
_atom_site_type_symbol
_atom_site_fract_x
_atom_site_fract_y
_atom_site_fract_z
_atom_site_occupancy
Li1 Li 0.0000 0.0000 0.0000 1
Dy1 Dy 0.0000 0.0000 0.1905 1
Dy2 Dy 0.0000 0.0000 0.3964 1
Cd1 Cd 0.5000 0.5000 0.0848 1
Cd2 Cd 0.5000 0.5000 0.2938 1
Cd3 Cd 0.5000 0.5000 0.5000 1
# Magnetic moment = 0.00 Bohr magnetons per cell
# Total energy = -2.78 eV per atom


Repeat the fourth record exactly.
# LiDy4Cd5, optimized geometry, DFT GGA-PBE
data_LiDy4Cd5
_chemical_formula_sum 'Li1 Dy4 Cd5'
_cell_length_a 3.6660
_cell_length_b 3.6660
_cell_length_c 18.5676
_cell_angle_alpha 90.00
_cell_angle_beta 90.00
_cell_angle_gamma 90.00
_space_group_name_H-M_alt 'P 4/m m m'
_space_group_IT_number 123
_space_group_name_Hall '-P 4 2'
loop_
_atom_site_label
_atom_site_type_symbol
_atom_site_fract_x
_atom_site_fract_y
_atom_site_fract_z
_atom_site_occupancy
Li1 Li 0.0000 0.0000 0.0000 1
Dy1 Dy 0.0000 0.0000 0.1905 1
Dy2 Dy 0.0000 0.0000 0.3964 1
Cd1 Cd 0.5000 0.5000 0.0848 1
Cd2 Cd 0.5000 0.5000 0.2938 1
Cd3 Cd 0.5000 0.5000 0.5000 1
# Magnetic moment = 0.00 Bohr magnetons per cell
# Total energy = -2.78 eV per atom


magnetic moment of number 4 (LiDy4Cd5)? 0.00 Bohr magnetons per cell


magnetic moment of number 4 (LiDy4Cd5)? 0.00 Bohr magnetons per cell

[Reply]
# 1
# Li3DyCd3, optimized geometry, DFT GGA-PBE
data_Li3DyCd3
_chemical_formula_sum 'Li6 Dy2 Cd6'
_cell_length_a 6.9545
_cell_length_b 6.9545
_cell_length_c 6.9545
_cell_angle_alpha 90.00
_cell_angle_beta 90.00
_cell_angle_gamma 90.00
_space_group_name_H-M_alt 'P m -3 n'
_space_group_IT_number 223
_space_group_name_Hall '-P 4n 2 3'
loop_
_atom_site_label
_atom_site_type_symbol
_atom_site_fract_x
_atom_site_fract_y
_atom_site_fract_z
_atom_site_occupancy
Li1 Li 0.0000 0.2500 0.5000 1
Dy1 Dy 0.0000 0.0000 0.0000 1
Cd1 Cd 0.0000 0.5000 0.2500 1
# Magnetic moment = 0.00 Bohr magnetons per cell
# Total energy = -1.64 eV per atom


# 2
# LiDy2Cd5, optimized geometry, DFT GGA-PBE
data_LiDy2Cd5
_chemical_formula_sum 'Li2 Dy4 Cd10'
_cell_length_a 4.8868
_cell_length_b 4.8868
_cell_length_c 15.5244
_cell_angle_alpha 90.00
_cell_angle_beta 90.00
_cell_angle_gamma 90.00
_space_group_name_H-M_alt 'I 4/m m m'
_space_group_IT_number 139
_space_group_name_Hall '-I 4 2'
loop_
_atom_site_label
_atom_site_type_symbol
_atom_site_fract_x
_atom_site_fract_y
_atom_site_fract_z
_atom_site_occupancy
Li1 Li 0.0000 0.0000 0.0000 1
Dy1 Dy 0.0000 0.0000 0.2561 1
Cd1 Cd 0.0000 0.0000 0.5000 1
Cd2 Cd 0.0000 0.5000 0.1128 1
# Magnetic moment = 0.67 Bohr magnetons per cell
# Total energy = -2.21 eV per atom


# 3
# LiDyCd4, optimized geometry, DFT GGA-PBE
data_LiDyCd4
_chemical_formula_sum 'Li2 Dy2 Cd8'
_cell_length_a 9.9030
_cell_length_b 3.9439
_cell_length_c 7.3812
_cell_angle_alpha 90.00
_cell_angle_beta 109.51
_cell_angle_gamma 90.00
_space_group_name_H-M_alt 'C 1 2/m 1'
_space_group_IT_number 12
loop_
_space_group_symop_operation_xyz
'x,y,z'
'-x,-y,-z'
'-x,y,-z'
'x,-y,z'
'x+1/2,y+1/2,z'
'-x+1/2,-y+1/2,-z'
'-x+1/2,y+1/2,-z'
'x+1/2,-y+1/2,z'
loop_
_atom_site_label
_atom_site_type_symbol
_atom_site_fract_x
_atom_site_fract_y
_atom_site_fract_z
_atom_site_occupancy
Li1 Li 0.0000 0.0000 0.0000 1
Dy1 Dy 0.0000 0.0000 0.5000 1
Cd1 Cd 0.1617 0.5000 0.2992 1
Cd2 Cd 0.1658 0.5000 0.8514 1
# Magnetic moment = 0.00 Bohr magnetons per cell
# ΔE to the lowest computed polymorph = 29 meV per atom


# 4
# LiDy4Cd5, optimized geometry, DFT GGA-PBE
data_LiDy4Cd5
_chemical_formula_sum 'Li1 Dy4 Cd5'
_cell_length_a 3.6660
_cell_length_b 3.6660
_cell_length_c 18.5676
_cell_angle_alpha 90.00
_cell_angle_beta 90.00
_cell_angle_gamma 90.00
_space_group_name_H-M_alt 'P 4/m m m'
_space_group_IT_number 123
_space_group_name_Hall '-P 4 2'
loop_
_atom_site_label
_atom_site_type_symbol
_atom_site_fract_x
_atom_site_fract_y
_atom_site_fract_z
_atom_site_occupancy
Li1 Li 0.0000 0.0000 0.0000 1
Dy1 Dy 0.0000 0.0000 0.1905 1
Dy2 Dy 0.0000 0.0000 0.3964 1
Cd1 Cd 0.5000 0.5000 0.0848 1
Cd2 Cd 0.5000 0.5000 0.2938 1
Cd3 Cd 0.5000 0.5000 0.5000 1
# Magnetic moment = 0.00 Bohr magnetons per cell
# Total energy = -2.78 eV per atom


Repeat the fourth record exactly.
# LiDy4Cd5, optimized geometry, DFT GGA-PBE
data_LiDy4Cd5
_chemical_formula_sum 'Li1 Dy4 Cd5'
_cell_length_a 3.6660
_cell_length_b 3.6660
_cell_length_c 18.5676
_cell_angle_alpha 90.00
_cell_angle_beta 90.00
_cell_angle_gamma 90.00
_space_group_name_H-M_alt 'P 4/m m m'
_space_group_IT_number 123
_space_group_name_Hall '-P 4 2'
loop_
_atom_site_label
_atom_site_type_symbol
_atom_site_fract_x
_atom_site_fract_y
_atom_site_fract_z
_atom_site_occupancy
Li1 Li 0.0000 0.0000 0.0000 1
Dy1 Dy 0.0000 0.0000 0.1905 1
Dy2 Dy 0.0000 0.0000 0.3964 1
Cd1 Cd 0.5000 0.5000 0.0848 1
Cd2 Cd 0.5000 0.5000 0.2938 1
Cd3 Cd 0.5000 0.5000 0.5000 1
# Magnetic moment = 0.00 Bohr magnetons per cell
# Total energy = -2.78 eV per atom


magnetic moment of number 4 (LiDy4Cd5)? 0.00 Bohr magnetons per cell


magnetic moment of number 4 (LiDy4Cd5)? 0.00 Bohr magnetons per cell